How Does Sustainability Reporting Help Build a Long-Term Business Strategy?


Today’s businesses operate in a highly regulated and stringent environment. As a result, they must focus not only on financial performance but also on other aspects that support their long-term business strategy. And, if you want to develop a long-term business strategy, you will require sustainable reporting.

What is Sustainable Reporting?


Sustainable reporting, also known as sustainability reporting, is a broad concept that covers multiple parameters like environmental, social, and governance (ESG) of business performance. This form of reporting relies on trust and transparency.

Unlike a business’s financial performance, which has a relatively narrow scope, sustainability reporting covers a business’s impact on various environmental resources. It vets the measures companies take to curb their carbon footprint and improve social engagement with their workforce. In addition, the reporting also sets standards concerning a company’s governance aspect and its performance around it.

Records of crystals, kept here for reference.
'''
# PBEsol CdHg2Ru, relaxed
# - Crystal system: orthorhombic
# - Density: 14.0 g/cm³
# - M_tot: 0.63 Bohr magnetons per cell
# - Formation energy: 364 meV per atom
data_CdHg2Ru
_space_group_name_H-M_alt 'P m m 2'
_space_group_IT_number 25
_space_group_name_Hall 'P 2 -2'
_cell_length_a 3.013
_cell_length_b 4.093
_cell_length_c 5.928
_cell_angle_alpha 90.00
_cell_angle_beta 90.00
_cell_angle_gamma 90.00
loop_
_atom_site_label
_atom_site_type_symbol
_atom_site_fract_x
_atom_site_fract_y
_atom_site_fract_z
_atom_site_occupancy
Cd1 Cd 0.000 0.000 0.000 1
Hg1 Hg 0.000 0.000 0.537 1
Hg2 Hg 0.500 0.500 0.263 1
Ru1 Ru 0.500 0.500 0.769 1

~~~~~

This record from Alexandria describes a relaxed structure of Li2NbBCl. The functional is PBE.

Summary:
Calculated volume ... 26.30 Å³ per atom
Uncorrected formation energy ... 0.949 eV/atom
DOS(E_F) ... 0.580 states/eV per atom
Total moment ... 1.96 μB per formula unit

Structure (CIF):
```
data_Li2NbBCl
_symmetry_space_group_name_H-M 'P 4/m m m'
_symmetry_Int_Tables_number 123
_symmetry_space_group_name_Hall '-P 4 2'
_cell_length_a 5.732
_cell_length_b 5.732
_cell_length_c 4.002
_cell_angle_alpha 90.00
_cell_angle_beta 90.00
_cell_angle_gamma 90.00
loop_
_atom_site_label
_atom_site_type_symbol
_atom_site_fract_x
_atom_site_fract_y
_atom_site_fract_z
Li1 Li 0.000 0.500 0.000
Nb1 Nb 0.000 0.000 0.000
B1 B 0.000 0.000 0.500
Cl1 Cl 0.500 0.500 0.500
```

---

This record from Alexandria describes a relaxed structure of LiNi2BCl. The functional is PBE.

Summary:
Calculated volume ... 13.01 Å³ per atom
Uncorrected formation energy ... 1.286 eV/atom
DOS(E_F) ... 0.854 states/eV per atom
Total moment ... 0.25 μB per formula unit

Structure (CIF):
```
data_LiNi2BCl
_symmetry_space_group_name_H-M 'P 4/m m m'
_symmetry_Int_Tables_number 123
_symmetry_space_group_name_Hall '-P 4 2'
_cell_length_a 4.176
_cell_length_b 4.176
_cell_length_c 3.731
_cell_angle_alpha 90.00
_cell_angle_beta 90.00
_cell_angle_gamma 90.00
loop_
_atom_site_label
_atom_site_type_symbol
_atom_site_fract_x
_atom_site_fract_y
_atom_site_fract_z
Li1 Li 0.000 0.000 0.000
Ni1 Ni 0.000 0.500 0.000
B1 B 0.000 0.000 0.500
Cl1 Cl 0.500 0.500 0.500
```

---

This record from Alexandria describes a relaxed structure of LiBS4Cl4O12. The functional is PBE.

Summary:
Calculated volume ... 19.31 Å³ per atom
Uncorrected formation energy ... -1.231 eV/atom
DOS(E_F) ... 0.000 states/eV per atom
Total moment ... 0.06 μB per formula unit

Structure (CIF):
```
data_LiBS4Cl4O12
_symmetry_space_group_name_H-M 'P 1 21/c 1'
_symmetry_Int_Tables_number 14
_cell_length_a 9.061
_cell_length_b 8.651
_cell_length_c 21.693
_cell_angle_alpha 90.00
_cell_angle_beta 91.82
_cell_angle_gamma 90.00
loop_
_symmetry_equiv_pos_as_xyz
'x,y,z'
'-x,-y,-z'
'-x,y+1/2,-z+1/2'
'x,-y+1/2,z+1/2'
loop_
_atom_site_label
_atom_site_type_symbol
_atom_site_fract_x
_atom_site_fract_y
_atom_site_fract_z
Li1 Li 0.092 0.250 0.058
B1 B 0.342 0.747 0.412
S1 S 0.137 0.627 0.831
S2 S 0.185 0.018 0.938
'''

Why is Sustainability Reporting Critical in Corporates?


ESG sustainability reporting isn’t merely essential but critical for corporations. Here are a few factors that emphasize the importance of corporate sustainability reporting:

  • Enhance operational efficiency: Analyzing business impact on sustainability allows companies to better plan human and material resources to improve operational efficiencies in the long run.
  • Make better and more informed decisions: Sustainability reporting enables companies to assess their ESG aspects. With these insights, companies can make more informed and better decisions.
  • Optimize costs and maximize savings: With a comprehensive analysis of the business and its impact areas, a sustainable report enables companies to broaden their scope of information and identify areas that require more effort and funds. You can optimize costs when you know where to invest and how much.

Challenges of Sustainability Reporting

Sustainable reporting indeed benefits companies from the long-term strategic perspective. But it involves potential challenges requiring companies to plan their reporting endeavors properly. Here are some sustainable reporting challenges:

  • Disparate data sources

Companies often have to gather data from multiple and disparate sources. While guzzling up time, collating all the data could prove arduous. Let alone make sense of it, which is another significant challenge.

  • Massive and low-quality data

A massive quantity of data can make it difficult for a company to identify relevant data. You cannot pick anything and everything. In addition, dealing with low-quality and irrelevant data further adds to the company’s challenges.

  • Reaping practical value from the reporting

**Next to the text, the page also holds records of crystals**
/*
Entry 1:
# Ce6Hg3Au

Crystalline Ce6Hg3Au at its relaxed geometry (PBE-GGA, the Alexandria database).

Lattice parameters (Å, degrees): 10.139 6.802 8.314 90.00 104.49 90.00
Space group C2/m (No. 12)
Symmetry-distinct sites (fractional):
Ce1 0.146 0.000 0.410
Ce2 0.148 0.298 0.848
Hg1 0.000 0.500 0.500
Hg2 0.145 0.500 0.226
Au1 0.000 0.000 0.000

Results
As for the calculated formation energy: -0.16 eV per atom. The crystal system is monoclinic. As for the calculated total energy: -4.138 eV/atom.

Entry 2:
# BaCaLa2Pt

Crystalline BaCaLa2Pt at its relaxed geometry (PBE-GGA, the Alexandria database).

Lattice parameters (Å, degrees): 5.786 5.786 5.971 90.00 90.00 90.00
Space group P4/mmm (No. 123)
Symmetry-distinct sites (fractional):
Ba1 0.000 0.000 0.000
Ca1 0.500 0.500 0.000
La1 0.000 0.500 0.500
Pt1 0.500 0.500 0.500

Results
As for the calculated formation energy: -0.44 eV per atom. The crystal system is tetragonal. As for the calculated total energy: -4.402 eV/atom. As for the energy above the most stable polymorph in this dataset: 0.0000 eV per atom.

Q: Number 1 is which compound?
A: Ce6Hg3Au

=====

The following is a meta-GGA SCAN calculation of KLa2ZnRe at its PBEsol-relaxed geometry, from Alexandria.

```
data_KLa2ZnRe
_chemical_formula_sum 'K1 La2 Zn1 Re1'
_cell_length_a 4.601
_cell_length_b 5.357
_cell_length_c 5.357
_cell_angle_alpha 90.00
_cell_angle_beta 90.00
_cell_angle_gamma 90.00
_symmetry_space_group_name_H-M 'P 1'
_symmetry_Int_Tables_number 1
loop_
_symmetry_equiv_pos_as_xyz
'x,y,z'
loop_
_atom_site_label
_atom_site_type_symbol
_atom_site_fract_x
_atom_site_fract_y
_atom_site_fract_z
Re1 Re 0.500 0.000 0.000
Zn1 Zn 0.500 0.500 0.500
K1 K 0.000 0.000 0.000
La1 La 0.000 0.000 0.500
La2 La 0.000 0.500 0.000
```

Calculated values
Fermi-level density of states in states/eV per cell: 4.42
Symmetry: No. 123
Crystal system: tetragonal
ΔH_f (0 K) in eV per formula unit: 8.9
*/

Sustainable reporting isn’t merely a formality. It is a step towards building a long-term business strategy. Companies can create practically useful and sustainable reports only when they adopt the latter approach. Considering it a formality will only lead to wasting time, resources, and effort for nothing!

Benefits of Sustainability Reporting


While the most straightforward advantages include better risk management, cost and savings optimization, and improved corporate confidence, here’s a look at some of the other benefits of sustainability reporting:

  • Streamlining organizational performance

Sustainability reporting enables companies to streamline their performance and enhance stakeholder value. The better a company’s sustainability performance, the higher the value it creates.

  • Attracting more clients

These days, many stakeholders and investors have ESG sustainability reporting as a significant criterion. They assess the company’s credibility via these factors.

  • Achieving sustainability

Sustainability reporting makes sustainability a priority rather than an afterthought. Companies emerge as more committed and accountable once they release their report.

Standards to Follow While Designing a Sustainability Report

Sustainable reporting involves a company providing structured information about its performance regularly.

But sustainability reporting has specific credible sustainability reporting frameworks and standards. They include:

  • CDSB – Climate Disclosure Standards Board
  • GRI – Global Reporting Initiative
  • TCFD – Task Force on Climate-Related Disclosures
  • CDP – Carbon Disclosure Project
  • WEF IBC – World Economic Forum International Business Council
  • SASB – Sustainability Accounting Standards Board
  • IIRC – International Integrated Reporting Council

Each standard has various topic scopes, including both narrow and broad ones. They cater to diverse audiences, from restricted stakeholder sets to more significant groups, including employees, clients, and society.

Reasons to Embed Sustainable Reporting into Business Strategies

Companies have many reasons to do it. But nothing helps if something doesn’t inch you towards sustainability. Amid a highly uncertain environment, embedding ESG best practices in sustainability reporting enables companies to know, control and better respond to the external and internal environment.

The most recent example is the pandemic that led to several temporary and permanent closures. Companies that solely focused on sales, customers, and money became more vulnerable to the highly fragile external environment. But those who included ESG in their ecosystem remained more stable and sailed through the storm safely.

Measuring the Impact of Sustainability Reporting


In order to assess the effectiveness of this kind of reporting and its impact on a company’s long-term business strategy, it is important for businesses to measure their progress. Measuring this can help assess how an organization is performing relative to environmental, social, and governance policies and expectations over time.

They are quantitative or qualitative indicators used to evaluate the performance of an organization against stated objectives within the scope of sustainability. These measurements can be used to monitor the performance of organizational initiatives related to energy efficiency, resource efficiency, water use, waste management, ethical behavior, diversity and inclusion practices, safety performance and customer experience. By gathering reliable data through ongoing monitoring and evaluation initiatives such as surveys or focus groups, businesses can track their progress on implementing new initiatives or policies associated with sustainability reporting. This data can provide valuable insight that can be used to inform future strategies that might help further maximize sustainability efforts in line with the organization’s desired outcomes.

By conducting regular assessments through measuring the impact of sustainability reporting on a company’s long-term business strategy, organizations will have an understanding of their successes as well as any missed opportunities that may have hindered progress towards meeting key environmental and social objectives. This provides a platform for enhanced decision making that takes into account considerations for people’s wellbeing as well as economic value from embracing sustainable practices in operations; ultimately helping build successful long-term strategies for success within competitive markets.